-- Excerpt --
A plane-wave DFT calculation with PBE-GGA was carried out for an optimized crystal structure of CaAcLaDy.

Structure (POSCAR):
```
CaAcLaDy
1.0
3.792 0.000 0.000
-1.896 3.284 0.000
0.000 0.000 12.410
Ca Ac La Dy
1 1 1 1
Cartesian
0.000 0.000 0.000
1.896 1.095 9.096
0.000 2.189 5.925
1.896 1.095 3.038
```

Properties
calculated formation energy = 67 meV per atom
DOS at the Fermi energy = 6.40 states/eV/cell
-- What to do --
What is needed: count the lines further up that contain the word "energy" and give the number alone.
-- Reply --
2